Page 55 - Zoo Animal Learning and Training
P. 55
Chapter 3 Veterinary Business Protocols 39
4. If it is an emergency alert the staff that they have • Description: color of hair, length, markings – i.e.,
arrived. blaze, white paws, white tip on tail
5. If it is for an euthanasia, provide the euthanasia • Date of birth (DOB) – an approximate date is
release form and take care of payment in the room. satisfactory
• Previous health issues, medications, and
diet – there should be one section for each pet in
the household even if just one is present at this
Reflection appointment.
3. Consent forms: these are often consent to treat,
Envision dealing with an upset, angry, or stressed acceptance of financial responsibility, and who can
client. What can you do to de‐escalate the ask for medical information about the pet (usually a
situation and provide good customer service? spouse, significant other, or part owner). The client
Then reflect on how you can deal with this kind of is asked to read these forms and then signs on a
occurrence on a daily basis and what can you touch pad at the desk. The receptionist should
do to decompress.
confirm that the client understands the consent
form by asking them specific questions or asking if
they have any questions about the consent forms.
More about consent forms later in this chapter.
Admitting Patients All of the forms are returned to the receptionist, who
then puts the information into the database or assem
Once you have acknowledged the client and established bles them into the paper record. It is vital that this
who they are, you will have to access their pet’s record. information is correct as input mistakes will make it very
On the computer type in the client’s last name in the hard to find a record if a name is misspelled! Once the
Client ID box; this will pull up their record and if they new client is in the database indicate they are ready to
have more than one pet you will need to click on the pet be seen.
1.
## TiN (GGA-PBE)

Data for crystalline TiN at its relaxed geometry.

Output
ρ = 4.7 Mg/m³
total moment = 0.0 μB/f.u.
formation energy = -1823 meV/atom

Cell: 3.0095 3.0095 183.9215 Å, 90.00 90.00 120.00°
Closest atoms and distances in Å follow each position.
Space group R3m (No. 160, hexagonal axes)
One atom of each set of equivalent atoms:
Ti 0.0000 0.0000 0.0000 x3  3 N 2.06
Ti 0.0000 0.0000 0.0395 x3  6 N 2.12-2.14
Ti 0.0000 0.0000 0.0796 x3  6 N 2.12-2.13
Ti 0.0000 0.0000 0.1196 x3  6 N 2.13
Ti 0.0000 0.0000 0.1596 x3  6 N 2.13
Ti 0.0000 0.0000 0.1996 x3  6 N 2.12-2.13
Ti 0.0000 0.0000 0.2396 x3  6 N 2.12-2.13
Ti 0.0000 0.0000 0.2809 x3  3 N 1.91
Ti 0.0000 0.0000 0.3597 x3  6 N 2.11-2.14
Ti 0.0000 0.0000 0.3996 x3  6 N 2.12-2.13
Ti 0.0000 0.0000 0.4396 x3  6 N 2.13
Ti 0.0000 0.0000 0.4796 x3  6 N 2.13
Ti 0.0000 0.0000 0.5196 x3  6 N 2.12-2.13
Ti 0.0000 0.0000 0.5596 x3  6 N 2.12-2.13
Ti 0.0000 0.0000 0.5997 x3  6 N 2.08-2.13
Ti 0.0000 0.0000 0.6794 x3  6 N 2.13-2.14
Ti 0.0000 0.0000 0.7196 x3  6 N 2.12-2.13
Ti 0.0000 0.0000 0.7596 x3  6 N 2.12-2.13
Ti 0.0000 0.0000 0.7996 x3  6 N 2.13
Ti 0.0000 0.0000 0.8396 x3  6 N 2.13
Ti 0.0000 0.0000 0.8796 x3  6 N 2.12-2.13
Ti 0.0000 0.0000 0.9196 x3  6 N 2.13
N 0.0000 0.0000 0.0196 x3  6 Ti 2.14
N 0.0000 0.0000 0.0596 x3  6 Ti 2.12
N 0.0000 0.0000 0.0996 x3  6 Ti 2.13
N 0.0000 0.0000 0.1396 x3  6 Ti 2.13
N 0.0000 0.0000 0.1796 x3  6 Ti 2.12-2.13
N 0.0000 0.0000 0.2196 x3  6 Ti 2.13
N 0.0000 0.0000 0.2596 x3  6 Ti 2.13
N 0.0000 0.0000 0.3393 x3  6 Ti 2.06-2.13
N 0.0000 0.0000 0.3796 x3  6 Ti 2.13-2.14
N 0.0000 0.0000 0.4196 x3  6 Ti 2.12
N 0.0000 0.0000 0.4596 x3  6 Ti 2.13
N 0.0000 0.0000 0.4996 x3  6 Ti 2.13
N 0.0000 0.0000 0.5396 x3  6 Ti 2.12
N 0.0000 0.0000 0.5796 x3  6 Ti 2.12-2.13
N 0.0000 0.0000 0.6185 x3  3 Ti 1.91
N 0.0000 0.0000 0.6996 x3  6 Ti 2.11-2.12
N 0.0000 0.0000 0.7396 x3  6 Ti 2.13
N 0.0000 0.0000 0.7796 x3  6 Ti 2.13
N 0.0000 0.0000 0.8196 x3  6 Ti 2.13
N 0.0000 0.0000 0.8596 x3  6 Ti 2.13
N 0.0000 0.0000 0.8996 x3  6 Ti 2.12-2.13
N 0.0000 0.0000 0.9393 x3  6 Ti 2.08-2.32

***

2.
## Tm2NiSn6 (GGA-PBE)

Data for crystalline Tm2NiSn6 at its relaxed geometry.

Output
ρ = 8.5 Mg/m³
formation energy = -418 meV/atom

Cell: 4.3757 22.3217 4.4201 Å, 90.00 90.00 90.00°
Closest atoms and distances in Å follow each position.
Space group Cmmm (No. 65)
One atom of each set of equivalent atoms:
Tm 0.0000 0.1787 0.0000 x4  10 Sn 3.16-3.44
Ni 0.0000 0.5000 0.5000 x2  8 Sn 2.71
Sn 0.0000 0.0714 0.5000 x4  2 Ni 2.71
Sn 0.0000 0.2965 0.5000 x4  2 Sn 3.02, 4 Tm 3.16
Sn 0.0000 0.4296 0.0000 x4  2 Ni 2.71

***

3.
## LiCdN (GGA-PBE)

Data for crystalline LiCdN at its relaxed geometry.

Output
ρ = 4.6 Mg/m³
total moment = 0.0 μB/f.u.
formation energy = 153 meV/atom

Cell: 3.6972 3.6972 4.0870 Å, 90.00 90.00 120.00°
Closest atoms and distances in Å follow each position.
Space group P-6m2 (No. 187)
One atom of each set of equivalent atoms:
Li 0.0000 0.0000 0.0000 x1  3 N 2.13
that is visiting that day. Paper files should be pulled
Crystal structures that have nothing to do with the article:
/*
Record 1
VASP calculation (GGA-PBE) on a geometry-optimized SnO2 structure.

Cell: 4.832 4.832 3.243 Å, 90.00 90.00 90.00°
Atoms (fractional coordinates):
1 Sn 0.000 0.000 0.000
2 Sn 0.500 0.500 0.500
3 O 0.193 0.193 0.500
4 O 0.307 0.693 0.000
5 O 0.693 0.307 0.000
6 O 0.807 0.807 0.500

Values from the calculation:
- ρ (g cm⁻³) = 6.61
- E_form (eV/atom) = -2.107
- energy with MP2020 corrections (eV/atom) = -6.743

---

Record 2
VASP calculation (GGA-PBE) on a geometry-optimized Pr3Si6N11 structure.

Cell: 10.180 10.180 4.899 Å, 90.00 90.00 90.00°
Atoms (fractional coordinates):
1 Pr 0.000 0.000 0.000
2 Pr 0.182 0.318 0.014
3 Pr 0.318 0.818 0.014
4 Pr 0.500 0.500 0.000
5 Pr 0.682 0.182 0.014
6 Pr 0.818 0.682 0.014
7 Si 0.079 0.791 0.543
8 Si 0.117 0.617 0.053
9 Si 0.209 0.079 0.543
10 Si 0.291 0.579 0.543
11 Si 0.383 0.117 0.053
12 Si 0.421 0.291 0.543
13 Si 0.579 0.709 0.543
14 Si 0.617 0.883 0.053
15 Si 0.709 0.421 0.543
16 Si 0.791 0.921 0.543
17 Si 0.883 0.383 0.053
18 Si 0.921 0.209 0.543
19 N 0.000 0.500 0.079
20 N 0.076 0.770 0.190
21 N 0.079 0.179 0.653
22 N 0.154 0.654 0.708
23 N 0.179 0.921 0.653
24 N 0.230 0.076 0.190
25 N 0.270 0.576 0.190
26 N 0.321 0.421 0.653
27 N 0.346 0.154 0.708
28 N 0.421 0.679 0.653
29 N 0.424 0.270 0.190
30 N 0.500 0.000 0.079
31 N 0.576 0.730 0.190
32 N 0.579 0.321 0.653
33 N 0.654 0.846 0.708
34 N 0.679 0.579 0.653
35 N 0.730 0.424 0.190
36 N 0.770 0.924 0.190
37 N 0.821 0.079 0.653
38 N 0.846 0.346 0.708
39 N 0.921 0.821 0.653
40 N 0.924 0.230 0.190

Values from the calculation:
- ρ (g cm⁻³) = 4.88
- E_form (eV/atom) = -1.479
- energy with MP2020 corrections (eV/atom) = -8.408

---

Record 3
VASP calculation (GGA-PBE) on a geometry-optimized Nb4Pb3O13 structure.

Cell: 7.594 7.574 10.733 Å, 90.00 90.00 90.00°
Atoms (fractional coordinates):
1 Nb 0.000 0.000 0.000
2 Nb 0.000 0.500 0.500
3 Nb 0.250 0.249 0.254
4 Nb 0.250 0.751 0.254
5 Nb 0.500 0.000 0.000
6 Nb 0.500 0.500 0.500
7 Nb 0.750 0.249 0.746
8 Nb 0.750 0.751 0.746
9 Pb 0.000 0.500 0.000
10 Pb 0.250 0.248 0.739
11 Pb 0.250 0.752 0.739
12 Pb 0.500 0.500 0.000
13 Pb 0.750 0.248 0.261
14 Pb 0.750 0.752 0.261
15 O 0.057 0.191 0.125
16 O 0.057 0.809 0.125
17 O 0.060 0.316 0.372
18 O 0.060 0.684 0.372
19 O 0.250 0.000 0.303
20 O 0.250 0.000 0.936
21 O 0.250 0.500 0.180
22 O 0.250 0.500 0.565
23 O 0.250 0.500 0.848
24 O 0.440 0.316 0.372
25 O 0.440 0.684 0.372
26 O 0.443 0.191 0.125
27 O 0.443 0.809 0.125
28 O 0.557 0.191 0.875
29 O 0.557 0.809 0.875
30 O 0.560 0.316 0.628
31 O 0.560 0.684 0.628
32 O 0.750 0.000 0.064
33 O 0.750 0.000 0.697
34 O 0.750 0.500 0.152
35 O 0.750 0.500 0.435
36 O 0.750 0.500 0.820
37 O 0.940 0.316 0.628
38 O 0.940 0.684 0.628
39 O 0.943 0.191 0.875
40 O 0.943 0.809 0.875

Values from the calculation:
- ρ (g cm⁻³) = 6.46
- offset from the most stable computed form (meV/atom) = 0
- E_form (eV/atom) = -2.644
- energy with MP2020 corrections (eV/atom) = -8.438

---

Record 4
*/
Here the article continues:
already; if not, locate the record in the filing cabinet.
Then ask a few questions to make sure the data on the Reflection
record is current. You should ask:
• Do you still live at ________ address? Why is all of the information necessary? What
• Are your phone numbers _______ for cell and difference does it make if we know what color
_________ for work? a cat is or whether it is the owner bringing an
• Patient today is _____ and is being seen for animal to the clinic?
-- Calculated crystals, as found in the file --
Arrangement i

Compound: CeNb3O9
Source: the Materials Project
Functional: PBE-GGA
Structure: relaxed

Calculated values
The total magnetization is 2.84 μB/cell. The calculation puts the calculated volume at 1524.9 Å³/cell.

abc: 17.9743 7.9018 11.3332
angles: 90.00 108.68 90.00
Closest atoms and distances in Å follow each position.
Space group C2/m (No. 12)
Symmetry-distinct sites (fractional):
Ce 0.0000 0.0000 0.0000 (multiplicity 2)  12 O 2.60-2.72
Ce 0.0000 0.5000 0.0000 (multiplicity 2)  12 O 2.66-2.77
Ce 0.1687 0.0000 0.3381 (multiplicity 4)  12 O 2.62-2.90
Nb 0.0030 0.2534 0.7420 (multiplicity 8)  6 O 1.92-2.13
Nb 0.1657 0.2501 0.5840 (multiplicity 8)  6 O 1.97-2.03
Nb 0.1714 0.2533 0.0840 (multiplicity 8)  6 O 1.94-2.09
O 0.0057 0.5000 0.2378 (multiplicity 4)  2 Nb 1.97
O 0.0087 0.0000 0.2337 (multiplicity 4)  2 Nb 2.04
O 0.0758 0.2536 0.9234 (multiplicity 8)  2 Nb 2.05-2.06
O 0.0785 0.2424 0.1567 (multiplicity 8)  2 Nb 2.09-2.13
O 0.0840 0.2497 0.6660 (multiplicity 8)  2 Nb 1.92-1.97
O 0.0875 0.2321 0.4101 (multiplicity 8)  2 Nb 1.96-2.03
O 0.1532 0.0000 0.0894 (multiplicity 4)  2 Nb 2.03
O 0.1569 0.5000 0.0868 (multiplicity 4)  2 Nb 1.97
O 0.1731 0.0000 0.5719 (multiplicity 4)  2 Nb 1.99
O 0.1765 0.5000 0.5787 (multiplicity 4)  2 Nb 1.99
O 0.2445 0.2322 0.2534 (multiplicity 8)  2 Nb 1.96-2.03
O 0.2500 0.2500 0.0000 (multiplicity 4)  2 Nb 1.94
O 0.2500 0.2500 0.5000 (multiplicity 4)  2 Nb 2.03


Arrangement ii

Compound: CeNb3O9
Source: the Materials Project
Functional: PBE-GGA
Structure: relaxed

Calculated values
The total magnetization is 3.42 μB/cell. The calculation puts the calculated volume at 751.6 Å³/cell.

abc: 5.6010 9.7626 13.7463
angles: 90.34 90.17 90.17
Closest atoms and distances in Å follow each position.
Space group P-1 (No. 2)
Symmetry-distinct sites (fractional):
Ce 0.2367 0.4216 0.4218 (multiplicity 2)  6 O 2.32-2.53
Ce 0.2407 0.0833 0.0818 (multiplicity 2)  6 O 2.36-2.63
Nb 0.2487 0.0835 0.8251 (multiplicity 2)  5 O 1.90-2.09
Nb 0.2493 0.4121 0.6745 (multiplicity 2)  5 O 1.92-2.10
Nb 0.2490 0.7356 0.0017 (multiplicity 2)  5 O 1.92-2.12
Nb 0.2503 0.0881 0.3340 (multiplicity 2)  6 O 1.98-2.05
Nb 0.2513 0.7655 0.4954 (multiplicity 2)  5 O 1.88-2.09
Nb 0.2538 0.4193 0.1663 (multiplicity 2)  6 O 1.97-2.05
-- End of the calculated crystals --
___________. Is there anything else you need?
Ask the client to have a seat and indicate on the com
puter that they are ready to be seen. If using a paper file, Discharging Clients
place it in the designated spot to alert staff that the client
is ready to be seen. After the veterinarian has seen the patient and client
If the patient is new to the clinic you will have a bit
more information to fill in. Some clinics like to have the they are given a card or laminated form to take to the
reception desk. This insures that they stop and pay
client arrive early to fill out a paper form with the before leaving. All medications or supplies should be
required data for a new patient. These same forms would waiting for them at the desk. The receptionist should
be utilized for computerized or paper records. The greet the client and ask if they are all set to check out. If
forms would include the following:
medications are being sent home, ask them if they under
1. Client information: full name of owner(s), address, stand all the instructions. Be ready to go over the instruc
phone numbers, emergency contact person if the tions or ask a technician to come up and go over them
owner isn’t available. again with the client. Ask them if they need any food or
2. Signalment – pet information: supplements if that is offered through your clinic. Look
• Name – confirm spelling at the patient notes to determine if a recheck visit needs
• Breed – always ask, never assume a breed to be made and offer up the same options as discussed
• Species – canine, feline, lagomorphs, rodent, when answering the phone. Enter the appointment in
equine, bovine, ovine, caprine, swine the schedule and then determine the amount owed
• Sex: M = male, F = female, N/M = neutered male, for visit. Review each item on the visit list before
S/F = spayed female, date ________ announcing the total. This explains the value of each